Type out the whole of the rows further down verbatim.

'''
Density functional theory data (PBE) for a geometry-optimized PmDyEr structure.

D(E_F): 1.3571 states/eV/atom
calculated volume: 96 Å³/f.u.
formation energy: 21 meV/atom
VASP energy: -4.62 eV/atom
excess energy over the best structure of this formula in the dataset: 2 meV per atom

Geometry as extended XYZ:
```
6
Lattice="3.568 0.000 0.000 0.000 3.568 0.000 0.000 0.000 15.122" Properties=species:S:1:pos:R:3 pbc="T T T"
Pm 0.000 0.000 0.000
Pm 1.784 1.784 7.561
Dy 0.000 0.000 10.115
Dy 1.784 1.784 2.554
Er 0.000 0.000 5.028
Er 1.784 1.784 12.589
```


(1)
Here is a geometry-optimized TlIrPt2 structure from Alexandria. Energies are from PBEsol.

a = 2.8354 Å, b = 4.6787 Å, c = 4.8958 Å
α = 90.00°, β = 89.99°, γ = 90.00°
With the nearest neighbours (Å) after each atom.
Fractional positions:
Ir  0.3749  0.5000  0.1722  8 Pt 2.72-2.94, 2 Ir 2.84, 2 Tl 3.01
Pt  0.8749  0.0000  0.0697  4 Ir 2.78, 4 Tl 2.79-2.87, 4 Pt 2.84-2.96
Pt  0.8751  0.5000  0.6985  4 Ir 2.72-2.94, 4 Tl 2.82, 4 Pt 2.84-2.96
Tl  0.3750  0.0000  0.5596  8 Pt 2.79-2.87, 2 Tl 2.84, 2 Ir 3.01

- crystal system = orthorhombic
- energy of formation (eV per atom) = 0.22
- energy above the lowest structure with this stoichiometry (eV per atom) = 0.000
- N(E_F) (states/eV/f.u.) = 3.225
- symmetry = Pmm2

---

(2)
Here is a geometry-optimized TlIrPt2 structure from Alexandria. Energies are from PBEsol.

a = 2.8024 Å, b = 4.8583 Å, c = 5.5690 Å
α = 115.86°, β = 104.57°, γ = 90.00°
With the nearest neighbours (Å) after each atom.
Fractional positions:
Ir  0.2574  0.7574  0.5147  6 Pt 2.68-2.81, 2 Ir 2.80, 2 Tl 2.82
Pt  0.9945  0.9945  0.9890  2 Ir 2.68, 4 Pt 2.79-2.80, 4 Tl 2.81
Pt  0.7448  0.2448  0.4897  4 Pt 2.79-2.80, 4 Ir 2.81, 2 Tl 2.85
Tl  0.5033  0.5033  0.0066  2 Tl 2.80, 6 Pt 2.81-2.85, 2 Ir 2.82

- crystal system = orthorhombic
- energy of formation (eV per atom) = 0.26
- energy above the lowest structure with this stoichiometry (eV per atom) = 0.040
- N(E_F) (states/eV/f.u.) = 3.000
- symmetry = Imm2

---

(3)
Here is a geometry-optimized IrPt2W structure from Alexandria. Energies are from PBEsol.

a = 2.7424 Å, b = 3.9002 Å, c = 5.5332 Å
α = 90.00°, β = 90.00°, γ = 90.00°
With the nearest neighbours (Å) after each atom.
Fractional positions:
Ir  0.5000  0.5000  0.7403  6 Pt 2.70-2.84, 4 W 2.71, 2 Ir 2.74
W  0.0000  0.0000  0.5082  4 Ir 2.71, 6 Pt 2.71-2.82, 2 W 2.74
Pt  0.0000  0.0000  0.9983  2 W 2.71-2.82, 6 Pt 2.74-2.77, 4 Ir 2.78
Pt  0.5000  0.5000  0.2532  2 Ir 2.70-2.84, 6 Pt 2.74-2.77, 4 W 2.77

- crystal system = orthorhombic
- energy of formation (eV per atom) = -0.24
- energy above the lowest structure with this stoichiometry (eV per atom) = 0.011
- N(E_F) (states/eV/f.u.) = 2.863
- symmetry = Pmm2

---

(4)
Here is a geometry-optimized IrPtW structure from Alexandria. Energies are from PBEsol.

a = 2.7465 Å, b = 3.8744 Å, c = 4.7889 Å
α = 113.86°, β = 106.66°, γ = 90.00°
With the nearest neighbours (Å) after each atom.
Fractional positions:
Ir  0.0053  0.0053  0.0105  5 W 2.71-2.85, 5 Pt 2.72-2.78, 2 Ir 2.75
W  0.6624  0.6624  0.3249  5 Ir 2.71-2.85, 5 Pt 2.75-2.76, 2 W 2.75
Pt  0.3323  0.3323  0.6646  5 Ir 2.72-2.78, 5 W 2.75-2.76, 2 Pt 2.75

- crystal system = orthorhombic
- energy of formation (eV per atom) = -0.31
- N(E_F) (states/eV/f.u.) = 1.976
- symmetry = Imm2

---

(5)
Here is a geometry-optimized IrPtW2 structure from Alexandria. Energies are from PBEsol.

a = 2.7290 Å, b = 3.9991 Å, c = 5.4577 Å
α = 90.00°, β = 90.00°, γ = 90.00°
With the nearest neighbours (Å) after each atom.
Fractional positions:
Ir  0.5000  0.5000  0.0000  2 Pt 2.73, 2 Ir 2.73, 8 W 2.76
Pt  0.5000  0.5000  0.5000  2 Ir 2.73, 2 Pt 2.73, 8 W 2.80
W  0.0000  0.0000  0.7569  4 W 2.65-2.80, 4 Ir 2.76, 4 Pt 2.80
W  0.0000  0.0000  0.2431  4 W 2.65-2.80, 4 Ir 2.76, 4 Pt 2.80

- crystal system = orthorhombic
- energy of formation (eV per atom) = -0.26
- energy above the lowest structure with this stoichiometry (eV per atom) = 0.041
- N(E_F) (states/eV/f.u.) = 1.838
'''

Density functional theory data (PBE) for a geometry-optimized PmDyEr structure.

D(E_F): 1.3571 states/eV/atom
calculated volume: 96 Å³/f.u.
formation energy: 21 meV/atom
VASP energy: -4.62 eV/atom
excess energy over the best structure of this formula in the dataset: 2 meV per atom

Geometry as extended XYZ:
```
6
Lattice="3.568 0.000 0.000 0.000 3.568 0.000 0.000 0.000 15.122" Properties=species:S:1:pos:R:3 pbc="T T T"
Pm 0.000 0.000 0.000
Pm 1.784 1.784 7.561
Dy 0.000 0.000 10.115
Dy 1.784 1.784 2.554
Er 0.000 0.000 5.028
Er 1.784 1.784 12.589
```


(1)
Here is a geometry-optimized TlIrPt2 structure from Alexandria. Energies are from PBEsol.

a = 2.8354 Å, b = 4.6787 Å, c = 4.8958 Å
α = 90.00°, β = 89.99°, γ = 90.00°
With the nearest neighbours (Å) after each atom.
Fractional positions:
Ir  0.3749  0.5000  0.1722  8 Pt 2.72-2.94, 2 Ir 2.84, 2 Tl 3.01
Pt  0.8749  0.0000  0.0697  4 Ir 2.78, 4 Tl 2.79-2.87, 4 Pt 2.84-2.96
Pt  0.8751  0.5000  0.6985  4 Ir 2.72-2.94, 4 Tl 2.82, 4 Pt 2.84-2.96
Tl  0.3750  0.0000  0.5596  8 Pt 2.79-2.87, 2 Tl 2.84, 2 Ir 3.01

- crystal system = orthorhombic
- energy of formation (eV per atom) = 0.22
- energy above the lowest structure with this stoichiometry (eV per atom) = 0.000
- N(E_F) (states/eV/f.u.) = 3.225
- symmetry = Pmm2

---

(2)
Here is a geometry-optimized TlIrPt2 structure from Alexandria. Energies are from PBEsol.

a = 2.8024 Å, b = 4.8583 Å, c = 5.5690 Å
α = 115.86°, β = 104.57°, γ = 90.00°
With the nearest neighbours (Å) after each atom.
Fractional positions:
Ir  0.2574  0.7574  0.5147  6 Pt 2.68-2.81, 2 Ir 2.80, 2 Tl 2.82
Pt  0.9945  0.9945  0.9890  2 Ir 2.68, 4 Pt 2.79-2.80, 4 Tl 2.81
Pt  0.7448  0.2448  0.4897  4 Pt 2.79-2.80, 4 Ir 2.81, 2 Tl 2.85
Tl  0.5033  0.5033  0.0066  2 Tl 2.80, 6 Pt 2.81-2.85, 2 Ir 2.82

- crystal system = orthorhombic
- energy of formation (eV per atom) = 0.26
- energy above the lowest structure with this stoichiometry (eV per atom) = 0.040
- N(E_F) (states/eV/f.u.) = 3.000
- symmetry = Imm2

---

(3)
Here is a geometry-optimized IrPt2W structure from Alexandria. Energies are from PBEsol.

a = 2.7424 Å, b = 3.9002 Å, c = 5.5332 Å
α = 90.00°, β = 90.00°, γ = 90.00°
With the nearest neighbours (Å) after each atom.
Fractional positions:
Ir  0.5000  0.5000  0.7403  6 Pt 2.70-2.84, 4 W 2.71, 2 Ir 2.74
W  0.0000  0.0000  0.5082  4 Ir 2.71, 6 Pt 2.71-2.82, 2 W 2.74
Pt  0.0000  0.0000  0.9983  2 W 2.71-2.82, 6 Pt 2.74-2.77, 4 Ir 2.78
Pt  0.5000  0.5000  0.2532  2 Ir 2.70-2.84, 6 Pt 2.74-2.77, 4 W 2.77

- crystal system = orthorhombic
- energy of formation (eV per atom) = -0.24
- energy above the lowest structure with this stoichiometry (eV per atom) = 0.011
- N(E_F) (states/eV/f.u.) = 2.863
- symmetry = Pmm2

---

(4)
Here is a geometry-optimized IrPtW structure from Alexandria. Energies are from PBEsol.

a = 2.7465 Å, b = 3.8744 Å, c = 4.7889 Å
α = 113.86°, β = 106.66°, γ = 90.00°
With the nearest neighbours (Å) after each atom.
Fractional positions:
Ir  0.0053  0.0053  0.0105  5 W 2.71-2.85, 5 Pt 2.72-2.78, 2 Ir 2.75
W  0.6624  0.6624  0.3249  5 Ir 2.71-2.85, 5 Pt 2.75-2.76, 2 W 2.75
Pt  0.3323  0.3323  0.6646  5 Ir 2.72-2.78, 5 W 2.75-2.76, 2 Pt 2.75

- crystal system = orthorhombic
- energy of formation (eV per atom) = -0.31
- N(E_F) (states/eV/f.u.) = 1.976
- symmetry = Imm2

---

(5)
Here is a geometry-optimized IrPtW2 structure from Alexandria. Energies are from PBEsol.

a = 2.7290 Å, b = 3.9991 Å, c = 5.4577 Å
α = 90.00°, β = 90.00°, γ = 90.00°
With the nearest neighbours (Å) after each atom.
Fractional positions:
Ir  0.5000  0.5000  0.0000  2 Pt 2.73, 2 Ir 2.73, 8 W 2.76
Pt  0.5000  0.5000  0.5000  2 Ir 2.73, 2 Pt 2.73, 8 W 2.80
W  0.0000  0.0000  0.7569  4 W 2.65-2.80, 4 Ir 2.76, 4 Pt 2.80
W  0.0000  0.0000  0.2431  4 W 2.65-2.80, 4 Ir 2.76, 4 Pt 2.80

- crystal system = orthorhombic
- energy of formation (eV per atom) = -0.26
- energy above the lowest structure with this stoichiometry (eV per atom) = 0.041
- N(E_F) (states/eV/f.u.) = 1.838